“How surprised I was. Even if there were no soldiers, I still believed because there were two decent men nearby.”

The Emperor clicked his tongue low and shook his head.

“Apparently none of them are of any use.”


“It was you who jumped in for me in that dangerous situation.”

The Emperor grabbed my two hands as if he was thrilled.

“That is only natural, Your Majesty. You are the national capital of this empire.”

I smiled and nodded.

There was nothing wrong with getting points from the Emperor. Even if the day comes when I get caught, wouldn’t he kill me a little less painfully?

The imperious gaze of the Emperor was also a matter of great concern to me.

It wouldn’t matter if I was his ‘our Leah’, but I wasn’t.

“But it’s not easy to take risks.

“Would my body be worth it? Hoho.”

That was close. That was so close.

I wonder if I have to survive to live and die here to go back to my world!

“What can I do for you? Do you want some jewelry? Dress? Or gold?”

“No. I didn’t do it for a reward.”

I refused to do so.

Because the ‘medal’ that I’ve gotten shouldn’t be wasted on things like that.

“Isn’t this from the late emperor?”

The Emperor’s gentle hand touched my headdress.

“The late count and late emperor will be very happy to see you today.”


“Just like me.”

Instead of answering, I bit my lip.

It was a very strange feeling. The feeling I felt when I saw Leah in front of the dressing table.

“You grew up well. I’m proud of you.”

I almost burst into tears. I know it’s not meant for me, and I’m not in a position to receive it, but…

It was strange. To receive love without purpose from someone.

‘Leah could have lived happily ever after.’

She would be happy if she had seen the love she had rather than the love she didn’t have.

Why didn’t Leah see it?

“So, Leah.”

The Emperor covered his lips slightly and whispered to me.

“Would you like to get Davan’s childhood video clips?”


I felt like I was in tears just a moment before.

And when my expression became sour, the Emperor burst out into laughter.

“But which one should I give you? He doesn’t have any facial expressions, so I wonder if there’ll be anything fun.”

The Emperor stroked his chin as if in serious concern.

I wanted to say that I would rather ask for money rather than receive such a thing.

“Oh, how about the war footage when the kingdom of Orpah was destroyed? It is said that it is a very valuable trade among the girls of the capital.”


If it’s war footage, wouldn’t blood splatter and neck cut off? Such a thing is a very valuable trade? What the hell?

“Davan wore blue armor in that war, and that caused the girls to go crazy. Gosh.”

My face suddenly turned black.

“By the way, Leah, there’s a video clip of your childhood birthday party.”

Now that one, at least, was a bit tempting. I was curious about how Leah looked when she was young.

“Or what about the video where Davan is crying? It’s a real gem.”

“No… That’s alright.”

Davan and the term ‘crybaby’. The gap was so far that it made me shudder.

“If you have one, it will come in handy. Especially when he looks at you like that.”

The Emperor whispered, pointing somewhere with the tip of his chin.

I wondered what he meant, and turned my head to follow the Emperor’s gaze.


What, what? I was startled by the figure standing in the dark.


Davan was looking at me with cold eyes.

Blade-like energy blooming around him pierced me.

‘If anyone sees it, they’ll think I’ve committed a sin.’

The saying that you can cut people with just your eyes made me realize.

“We’re going back now.”

Davan, who stood staring at me, said to the emperor.

“Yeah. Leah must have been very surprised that something like this happened all of a sudden. Go ahead and get some rest.”

The Emperor shrugged his shoulders and answered.

“By the way, Leah, make sure you get a glass of lemon tea before going to bed. It is said to be good for insomnia and mental and physical stability.”

The Emperor patted my head again and smiled, then suddenly became serious.

“Oh, the lemons are the best thing I’ve ever received from the Kingdom of Bataro, so take it…”

“Your Majesty.”

Davan called briefly as if telling him to stop. The wrinkles on his smooth forehead became clearer.

“Haha. Right. Go ahead.”

The Emperor took a step back, raising both his hands slightly.

Looking at it, it seemed like it was witty to tease Davan.

Wait a minute, you people…

That’s not the problem right now.

You just saw how Davan stares at me and you want me to come with him? In that narrow carriage?

I’d rather die. Why should I?

“It is still early evening. How about having another cup of tea?”

My eyes fluttered desperately toward the Emperor.

No, not now. I don’t want to go right now.

“Or, well, sorbet?”

“Shall we? I’d love to.”

The Emperor nodded and smile.

“I think it’d be better to go get the lemon first. I saved it for you, but you haven’t been able to come these days.”

“Oh, I’m sorry. I was so indifferent. I didn’t know that.”

“Davan, go back alone. I’ll send Leah safely on my own.”

“Yes, yes. That’s wise of you.”

I responded to the emperor’s words like a clapping seal.

It was scary that he was suspicious of me, but we were like a secret match at times like this.

“Then I’ll go in—”

“Be quiet and follow me.”

My words were cut off at once.

Davan, who uttered a warning, turned his back first.

The black jacket fluttered in the wind.

‘What? Be quiet and follow me?’

My eyebrows twitched.

I merely stared at the back of the man who was moving away.

“He’s cute.”

I heard a soft voice next to me. Even without looking, I knew it was the Emperor.

Because in this empire, on this continent, the only person who can say that Davan is cute is his family.

What’s cute about him, really?

“Certainly the youngest is the youngest.”

“The youngest?”

[T/N: Leah isn’t asking for confirmation if Davan is really the youngest. This sentence is more like sarcasm. Just imagine her scoffing while saying ‘The youngest?’]

The mere mention of it made me feel bitter.

“Aren’t you coming?”

Feeling that no one was following him, Davan turned back. The black hair shook.

“…Fine, fine.”

I nodded in a voice of abandonment.

+++
Theoretical powder diffraction line list of La6Bi2NO for λ = 1.5418 Å (Cu Kα), from a crystal structure in Alexandria, relaxed with GGA-PBE.
Intensities are scaled so that the largest is 100.

Top 10 peaks for 10 to 90 degrees two-theta, in order of rising 2θ:
2theta	I/Imax
30.37	100
35.21	56
50.64	40
60.20	44
63.18	14
74.44	6
82.43	9
82.51	9
85.07	9
85.14	9

Structure:
Unit cell a=7.2063 b=7.2172 c=10.1913 alpha=90.00 beta=90.00 gamma=90.00
Space group Immm (No. 71)
Inequivalent atoms, fractional coordinates:
La  0.0000  0.0000  0.2483 [4 per cell]
La  0.2482  0.2482  0.0000 [8 per cell]
Bi  0.0000  0.5000  0.2500 [4 per cell]
N  0.0000  0.0000  0.0000 [2 per cell]
O  0.0000  0.0000  0.5000 [2 per cell]

=====

Theoretical powder diffraction line list of La4BiP2N for λ = 1.5418 Å (Cu Kα), from a crystal structure in Alexandria, relaxed with GGA-PBE.
Intensities are scaled so that the largest is 100.

Top 10 peaks for 10 to 90 degrees two-theta, in order of rising 2θ:
2theta	I/Imax
11.95	11
26.90	57
28.41	100
30.30	15
34.21	12
37.55	21
41.42	12
42.73	14
51.22	20
51.69	22

Structure:
Unit cell a=4.2320 b=14.8377 c=14.8135 alpha=90.00 beta=90.00 gamma=90.00
Space group Cmcm (No. 63)
Inequivalent atoms, fractional coordinates:
La  0.0000  0.0000  0.0000 [4 per cell]
La  0.0000  0.2555  0.1230 [8 per cell]
La  0.0000  0.4195  0.7500 [4 per cell]
Bi  0.0000  0.1016  0.7500 [4 per cell]
P  0.0000  0.3693  0.5511 [8 per cell]
N  0.0000  0.1661  0.2500 [4 per cell]

=====

Theoretical powder diffraction line list of La4Sm2Bi3N2 for λ = 1.5418 Å (Cu Kα), from a crystal structure in Alexandria, relaxed with GGA-PBE.
Intensities are scaled so that the largest is 100.

Top 10 peaks for 10 to 90 degrees two-theta, in order of rising 2θ:
2theta	I/Imax
18.45	15
26.63	33
29.03	19
32.67	100
33.17	16
36.78	53
50.36	20
52.99	19
61.09	15
63.66	30

Structure:
Unit cell a=4.8873 b=4.8873 c=27.0103 alpha=90.00 beta=90.00 gamma=90.00
Space group I4/mmm (No. 139)
Inequivalent atoms, fractional coordinates:
La  0.0000  0.5000  0.0854 [8 per cell]
Sm  0.0000  0.0000  0.1930 [4 per cell]
Bi  0.0000  0.0000  0.3176 [4 per cell]
Bi  0.0000  0.0000  0.5000 [2 per cell]
N  0.0000  0.0000  0.1090 [4 per cell]

=====

Theoretical powder diffraction line list of La4SnBiN for λ = 1.5418 Å (Cu Kα), from a crystal structure in Alexandria, relaxed with GGA-PBE.
Intensities are scaled so that the largest is 100.

Top 10 peaks for 10 to 90 degrees two-theta, in order of rising 2θ:
2theta	I/Imax
25.80	24
27.67	77
29.78	36
30.86	19
32.69	100
36.81	64
48.04	39
57.76	16
63.65	15
63.77	15

Structure:
Unit cell a=6.9176 b=18.0012 c=6.8960 alpha=90.00 beta=90.00 gamma=90.00
Space group Cmcm (No. 63)
Inequivalent atoms, fractional coordinates:
La  0.0000  0.0703  0.2500 [4 per cell]
La  0.0000  0.4133  0.2500 [4 per cell]
La  0.2500  0.2500  0.0000 [8 per cell]
Sn  0.0000  0.1114  0.7500 [4 per cell]
Bi  0.0000  0.3916  0.7500 [4 per cell]
N  0.0000  0.2814  0.2500 [4 per cell]

* * * * *
+++

What can I do? Whether I die here or in the carriage is the same.

As I was about to move, I suddenly felt a sense of emptiness.

‘Heh heh, really. I’ll be dead before Ollina shows up. I’m dying already.’

Should I shave my head in the face of a disastrous future?


Davan, who had reached out his hand as if to open the passage of the barrier, looked back at me.

It was like he was asking, “What are you doing instead of following me quickly?”

‘Can’t you mind your own business?’

Suddenly I didn’t understand.

Why are you taking care of Leah Prezis so much when you’re sick of her?

Isn’t it better to just leave me alone?

“That… I don’t have shoes.”

Contrary to my inner feelings, my voice came out soft.

I’m smart, too, so I knew I had to keep quiet for now.

“I can’t walk barefoot.”

The only problem was the lack of shoes.

Running on one foot was impossible because the heels were high.

[T/N: Oh, apparently she only threw one heel. I’m sorry if I made y’all confused in the previous chapters…]

There was no way to move.

“You’re all over the place.”

Davan looked at me like that and clicked his tongue low.

To receive pathetic glances from the youngest crybaby, my pride was seriously hurt.

‘Wh-wh-what?! What are you going to do?”

Davan walked toward me as if he couldn’t help himself.

His shoulders were lowered naturally as his figure enveloped me.


My vision brightened in an instant.

I opened my eyes and saw my bare feet dangling in the air.

It was because Davan picked me up by the waist.

‘What’s with this guy?’

I reflexively put my hand around Davan’s neck and squeaked.

“What are you doing!?”

Davan frowned slightly as if he found me noisy.

“One more word.”

It was a cold voice that made the back of my neck feel cold.

My instinct, which developed radar only to survive, whispered quietly.

If you want to live, keep your mouth shut…


So I closed my mouth tightly.

I was thinking that if I made a fuss here, he would throw me away.

Damn this wretched life.

‘Who is that? Is it Cadel?’

I stretched out my neck to keep his body temperature away as much as possible and saw a familiar figure.

The distance was quite far, so I was unsure, but looking at that blonde or red jacket, it was clear that it was Cadel.

He was leaning against a wooden lighthouse with his arms crossed.


Cadel was staring at me and Davan.

I couldn’t see what kind of eyes it was.

It was already a dark evening, and the tree hanging over his head was too large.

‘A pinky promise?’

I frowned involuntarily.

When our eyes met, Cadel lifted his little finger.

It was a finger that meant promise.

Promise? What’s there to mean between Cadel and me?

‘Five fingers?’

This time, Cadel showed all five fingers out.

What else does that mean?

Five? Five seconds? Five things? Are you saying you’ll let it slide five times? Or are you going to slap me in the face?

There seemed to be a clear sign of meaning, so I tried thinking.


Then a laugh broke out.

In fact, Cadel was just waving his hand and greeting me. Goodbye.